Poverty, Inc. is a new documentary that draws attention to the flaws in the modern global aid and development industry. Although the film focuses on the topic of failed attempts to aid the poor, it is actually quite well-made and is a remarkably engaging film. The film draws attention to several parts of the aid and development industry that seem to be riddled with flaws. These include:
- The US food aid system that effectively keeps farmers rich domestically and farmers poor internationally.
- The concern that aid that goes directly to corrupt governments often does very little in the lives of the poor and (perhaps) makes the whole situation worse by weakening “the social contract” between governments and their electorate.
- The reality of perverse incentives created by orphanages that may actually be pulling poor families apart.
- The recognition that real and meaningful change, in ending the multidimensional puzzle of poverty, requires changes in the institutional structure of countries.
By raising awareness of these flaws in the global aid system, this film deserves appreciation, as these issues are presented in a clear and meaningful fashion. Two key critiques, however, beg for attention and further discussion: First, although these flaws may be astonishing to many viewers of the film, none of these points are all that novel to those who actually work in aid and development, as these flaws are more accurately consequences of a more fundamental problem that was (unfortunately) left out of the film. Second, the film focused only on the flaws of the current system and fails to mention what the aid and development industry (perhaps miraculously) has gotten right over the years.
TOMS Shoes: When Theory Doesn’t Hold in Reality
# Between two parts of the article: calculated crystals
/*
Record 1
# Ho2IrRh PBE-GGA optimized geometry
data_Ho2IrRh
_cell_length_a 6.8306
_cell_length_b 6.8306
_cell_length_c 6.8306
_cell_angle_alpha 90.00
_cell_angle_beta 90.00
_cell_angle_gamma 90.00
_symmetry_space_group_name_H-M 'F m -3 m'
_symmetry_Int_Tables_number 225
_symmetry_space_group_name_Hall '-F 4 2 3'
loop_
_atom_site_label
_atom_site_type_symbol
_atom_site_fract_x
_atom_site_fract_y
_atom_site_fract_z
Ho1 Ho 0.2500 0.2500 0.2500
Ir1 Ir 0.0000 0.0000 0.0000
Rh1 Rh 0.0000 0.0000 0.5000
# VASP energy = -116.0 eV for the cell shown
# Theoretical density = 13.03 g/cm3
# ΔE_f = -0.910 eV per atom

Record 2
# Tl7Ag36Te22 PBE-GGA optimized geometry
data_Tl7Ag36Te22
_cell_length_a 18.9289
_cell_length_b 18.9289
_cell_length_c 18.9289
_cell_angle_alpha 90.00
_cell_angle_beta 90.00
_cell_angle_gamma 90.00
_symmetry_space_group_name_H-M 'F m -3 m'
_symmetry_Int_Tables_number 225
_symmetry_space_group_name_Hall '-F 4 2 3'
loop_
_atom_site_label
_atom_site_type_symbol
_atom_site_fract_x
_atom_site_fract_y
_atom_site_fract_z
Tl1 Tl 0.0000 0.0000 0.0000
Tl2 Tl 0.0000 0.0000 0.2338
Ag1 Ag 0.0000 0.1933 0.1933
Ag2 Ag 0.1317 0.1317 0.2579
Te1 Te 0.0000 0.1575 0.3425
Te2 Te 0.1092 0.1092 0.1092
Te3 Te 0.2500 0.2500 0.2500
# VASP energy = -782.7 eV for the cell shown
# Theoretical density = 7.95 g/cm3
# ΔE_f = -0.266 eV per atom

Record 3
# TbCe3O8 PBE-GGA optimized geometry
data_TbCe3O8
_cell_length_a 5.4636
_cell_length_b 5.4636
_cell_length_c 10.9171
_cell_angle_alpha 90.00
_cell_angle_beta 90.00
_cell_angle_gamma 90.00
_symmetry_space_group_name_H-M 'I 4/m m m'
_symmetry_Int_Tables_number 139
_symmetry_space_group_name_Hall '-I 4 2'
loop_
_atom_site_label
_atom_site_type_symbol
_atom_site_fract_x
_atom_site_fract_y
_atom_site_fract_z
Tb1 Tb 0.0000 0.0000 0.0000
Ce1 Ce 0.0000 0.0000 0.5000
Ce2 Ce 0.0000 0.5000 0.2500
O1 O 0.2482 0.2482 0.3742
# VASP energy = -202.7 eV for the cell shown
# Theoretical density = 7.21 g/cm3
# ΔE_f = -3.736 eV per atom

Record 4
# CeFeSb2 PBE-GGA optimized geometry
data_CeFeSb2
_cell_length_a 4.3386
_cell_length_b 4.3386
_cell_length_c 9.6456
_cell_angle_alpha 90.00
_cell_angle_beta 90.00
_cell_angle_gamma 90.00
_symmetry_space_group_name_H-M 'P 4/n m m'
_symmetry_Int_Tables_number 129
loop_
_symmetry_equiv_pos_as_xyz
'x,y,z'
'-x,-y,-z'
'-y+1/2,x,z'
'y+1/2,-x,-z'
'-x+1/2,-y+1/2,z'
'x+1/2,y+1/2,-z'
'y,-x+1/2,z'
'-y,x+1/2,-z'
'x+1/2,-y,-z'
'-x+1/2,y,z'
'-y,-x,-z'
'y,x,z'
'-x,y+1/2,-z'
'x,-y+1/2,z'
'y+1/2,x+1/2,-z'
'-y+1/2,-x+1/2,z'
loop_
_atom_site_label
_atom_site_type_symbol
_atom_site_fract_x
_atom_site_fract_y
_atom_site_fract_z
Ce1 Ce 0.2500 0.2500 0.2342
Fe1 Fe 0.2500 0.7500 0.0000
Sb1 Sb 0.2500 0.2500 0.8585
Sb2 Sb 0.2500 0.7500 0.5000
# VASP energy = -49.5 eV for the cell shown
# Theoretical density = 8.04 g/cm3
# ΔE_f = -0.623 eV per atom

Record 5
# ThInCu2 PBE-GGA optimized geometry
data_ThInCu2
_cell_length_a 6.8330
_cell_length_b 6.8330
_cell_length_c 6.8330
_cell_angle_alpha 90.00
_cell_angle_beta 90.00
*/
# End of the calculated crystals
The film makes the case that aid doesn’t work, and may be hurting those it should be helping. This is a real concern, but the film doesn’t share much in terms of rigorous evidence. This lack of empirical evidence allows for mistakes to slip into the film.
For example, the film takes quite a bit of time explaining why TOMS Shoes, while well-intended, actually damages the local economies where the shoes are donated. This explanation uses well-developed theoretical economic logic: local shoe businesses can’t compete with free, so when shoes are given away for free the local shoe market suffers. Although this theory is solid, it is worth studying if this theory actually holds up in reality.
Three economists from the University of San Francisco performed such a study and recently published it in the peer-reviewed Journal of Development Effectiveness. The findings of the study are surprising, given the sound logic in the paragraph above. They find no statistically significant effects on the local labor market, in rural El Salvador, due to the donations of TOMS Shoes. There is a small effect—about one fewer pair of shoes demanded and sold locally due to 20 pairs of shoes donated—but this effect is so small (and statistically insignificant) that it hardly warrants the mass prevention of shoe donations.
Shoe donations (and aid, in general) ought to be targeted to those who actually need it. In the case of shoes, those who donate shoes should be careful not to give shoes to people who would otherwise pay the going market price for shoes. In many communities, however, there are lots of people who both need shoes and can’t pay the market price for shoes that would benefit greatly from the donation of good quality shoe donations.
Foreign Aid: A Simple Cost-Benefits Analysis
Although it is easy to point to aid and development spending that may have not generated genuine economic growth and poverty reduction, the benefits from aid and development have the potential to be remarkably large. When aid is spent well, even with numerous failures, the benefits may still outweigh the costs using typical cost-benefit practices.
For example, consider the case of the eradication of smallpox around the world. Suppose, just for the time being, that all forms of aid had no benefits except for aiding in the eradication of smallpox. Before smallpox was eradicated it killed a recorded 300 million people globally. Since its eradication, in 1973, roughly 100 million lives have been saved. To put that number in perspective, that’s more lives saved than would have been saved if we achieved world peace in 1973. Now, if you crunch the numbers, counting how many lives were saved in terms of how much money has been spent on foreign aid (remember, we are assuming there have been no other benefits of aid since 1973), you’d concluded that it cost roughly $70,000 per life saved. To put this calculation in perspective: standard cost-benefit analysis within the United States government rests on the assumption that a life is “worth” saving if it can be done with a price tag of $7 million or less.
To make the case against spending foreign aid, it is not a sufficient argument to simply point to projects or policies that seem to have not produced benefits. It is exceedingly dangerous to only consider aid spending that has not lead to the reduction of poverty while disregarding the aid spending that actually does produce worthwhile results. Several examples include: the eradication of smallpox and other global health initiatives, providing deworming tablets to children, and a recent multifaceted program targeting the so-called “ultra poor”.
Innovation in the Aid Industry: Cash Transfers
When the film presents the current reality of the global aid and development industry (pictured below), the newest, and perhaps, most exciting innovation in the last decade is omitted: direct cash transfers.
Inserted into the figure above, direct cash transfers create a line of little green arrows from the yellow group of people (presumably rich people) directly to the red and orange people (the “people in poverty”). No taxes, no donor nation governments, no developing nation governments, no NGO development project. Through organizations like Give Directly you can send money from your bank account directly to the mobile money (i.e. MPESA) account of the extreme poor all around the world.
When thinking about the power of direct cash transfers consider the idea of diminishing returns. This is the idea that $1 is worth exponentially more in the hands of someone living off of $2 per day than it is in the hands of someone living off of $200 per day.
It is rather stunning that a documentary about the modern aid and development industry left out the topic of direct cash transfers as discussions have been exceedingly common in recent years, not only among so-called development experts, but also in the media, for example: The New York Times, The Economist, Bloomberg Business, Forbes, The Economist (again), Foreign Affairs, The New York Times (again), NPR's Planet Money, The Huffington Post, and The Atlantic.
The Root of the Problem with Aid
The world is a complicated place. As demonstrated by the case of TOMS Shoes, well-developed theory and sound logic can only provide so much clarity about what will work and what won’t in various contexts. In order for aid to actually be effective data need to be collected, feedback needs to be heard, and impacts need to be measured. The problem with most NGOs, and the key reason why many countries remain poor despite the overwhelming number of NGOs, is because these organizations often don’t do anything as far as collecting data, gathering feedback, or rigorously measuring impact.
It’s understandable why very few NGOs spend time and money measuring impacts and collecting evidence. Doing so in any sort of rigorous and honest manor requires a lot of humility and courage. It is perhaps natural for us to want to live a (fictional) world where we know we know how things work. Admitting our own faults is often one of the most difficult challenges we face, however learning from failure and iterating through trial and error is simply the most effective problem solving strategy at our disposal.
In recent years, the idea that foreign aid is “bad” always seems to gain a lot of traction. I’ve never quite figured out why so many people are set on painting with such broad strokes when it comes to solving one of the world’s most persistent puzzles. The aid and development industry needs more evidence not less financial support. The last thing that is needed would be for public support of foreign aid to wane in years to come. In light of the flaws highlighted by Poverty, Inc. and the key points of this review, perhaps the most concrete task to be done would be to call your member of Congress to voice support for the Foreign Aid Transparency and Accountability Act.
-Jeff Bloem is a graduate student at Michigan State University in the Department of Agricultural, Food, and Resource Economics. He is currently working toward his MS degree. Prior to beginning graduate school, Jeff spent a year working in Kenya with Partners Worldwide - who's network is featured in the Poverty, Inc. film. He is a graduate of Calvin College. Following him on Twitter and on his blog.